In monetary policy, the debate between advocates of rules and advocates of discretion rages on. Supporters of rules argue that discretionary monetary policy falls prey to information and incentive problems. Supporters of discretion argue that strict rules-based policy cannot account for real-world complexities, such as financial innovation, that can make a previously sound rule unsound.
But perhaps there is a feasible middle ground between unanchored discretion and hidebound rules. “Constrained discretion” is an intriguing possibility. In a 2003 speech before he became Fed chairman, Ben Bernanke lauded constrained discretion as “an approach that allows monetary policymakers considerable leeway in responding to economic shocks, financial disturbances, and other unforeseen developments. Importantly, however, this discretion of policymakers is constrained by a strong commitment to keeping inflation low and stable.” This seems to strike a virtuous balance between the expectation-anchoring function of rules and the flexibility of discretion. Is it feasible?
-- Attached: calculated crystals --
********
Crystalline Ga2P3H11O13 at its relaxed geometry, computed with PBE.

Lattice parameters (Å, degrees): 7.657 8.521 10.020 90.00 90.00 110.32
Sites, in units of the cell vectors:
Ga (0.932, 0.973, 0.149)
Ga (0.068, 0.027, 0.649)
Ga (0.416, 0.623, 0.422)
Ga (0.584, 0.377, 0.922)
P (0.542, 0.660, 0.112)
P (0.458, 0.340, 0.612)
P (0.736, 0.988, 0.429)
P (0.264, 0.012, 0.929)
P (0.795, 0.104, 0.871)
P (0.205, 0.896, 0.371)
H (0.448, 0.775, 0.097)
H (0.552, 0.225, 0.597)
H (0.603, 0.061, 0.461)
H (0.397, 0.939, 0.961)
H (0.676, 0.945, 0.830)
H (0.324, 0.055, 0.330)
H (0.236, 0.230, 0.114)
H (0.764, 0.770, 0.614)
H (0.850, 0.717, 0.752)
H (0.150, 0.283, 0.252)
H (0.140, 0.339, 0.467)
H (0.860, 0.661, 0.967)
H (0.043, 0.452, 0.381)
H (0.957, 0.548, 0.881)
H (0.254, 0.593, 0.680)
H (0.746, 0.407, 0.180)
H (0.254, 0.754, 0.593)
H (0.746, 0.246, 0.093)
H (0.902, 0.629, 0.309)
H (0.098, 0.371, 0.809)
H (0.744, 0.490, 0.387)
H (0.256, 0.510, 0.887)
O (0.753, 0.753, 0.096)
O (0.247, 0.247, 0.596)
O (0.826, 0.099, 0.023)
O (0.174, 0.901, 0.523)
O (0.769, 0.023, 0.279)
O (0.231, 0.977, 0.779)
O (0.023, 0.853, 0.290)
O (0.977, 0.147, 0.790)
O (0.092, 0.924, 0.015)
O (0.908, 0.076, 0.515)
O (0.146, 0.192, 0.189)
O (0.854, 0.808, 0.689)
O (0.488, 0.571, 0.246)
O (0.512, 0.429, 0.746)
O (0.653, 0.800, 0.466)
O (0.347, 0.200, 0.966)
O (0.697, 0.230, 0.840)
O (0.303, 0.770, 0.340)
O (0.525, 0.465, 0.495)
O (0.475, 0.535, 0.995)
O (0.157, 0.419, 0.391)
O (0.843, 0.581, 0.891)
O (0.312, 0.666, 0.603)
O (0.688, 0.334, 0.103)
O (0.853, 0.506, 0.328)
O (0.147, 0.494, 0.828)

Computed properties:
- DFT total energy: -5.68 eV/atom
- Theoretical density: 2.4 g/cm³

=====

Entry 1:
VASP calculation (PBE) on crystalline Zr2IrPt8 at its relaxed geometry. Values from VASP.

Calculated values
DFT formation energy = -187.7 meV/atom
Fermi-level density of states = 8.93 states/eV per cell
symmetry = C2/m, No. 12

The structure in Quantum ESPRESSO input format:
```
&SYSTEM
  ibrav = 0, nat = 11, ntyp = 3
/
ATOMIC_SPECIES
Pt 195.08 Pt.upf
Ir 192.22 Ir.upf
Zr 91.22 Zr.upf
CELL_PARAMETERS angstrom
4.917 0.917 1.530
2.197 7.061 2.328
1.790 0.577 7.521
ATOMIC_POSITIONS crystal
Pt 0.769 0.863 0.395
Pt 0.207 0.534 0.534
Pt 0.376 0.192 0.192
Pt 0.231 0.605 0.137
Pt 0.624 0.808 0.808
Pt 0.231 0.137 0.605
Pt 0.793 0.466 0.466
Pt 0.769 0.395 0.863
Ir 0.000 0.000 0.000
Zr 0.226 0.735 0.735
Zr 0.774 0.265 0.265
```

Entry 2:
VASP calculation (PBE) on crystalline TcHgRh2 at its relaxed geometry. Values from VASP.

Calculated values
DFT formation energy = 489.0 meV/atom
Fermi-level density of states = 8.06 states/eV per cell
symmetry = F-43m, No. 216

The structure in Quantum ESPRESSO input format:
```
&SYSTEM
  ibrav = 0, nat = 4, ntyp = 3
/
ATOMIC_SPECIES
Rh 102.91 Rh.upf
Hg 200.59 Hg.upf
Tc 98.00 Tc.upf
CELL_PARAMETERS angstrom
-2.978 -1.884 -2.774
1.125 -0.846 -4.258
0.576 -4.232 -1.369
ATOMIC_POSITIONS crystal
Rh 0.750 0.750 0.750
Rh 0.000 0.000 0.000
Hg 0.500 0.500 0.500
Tc 0.250 0.250 0.250
********
Unfortunately, the answer is no. Constrained discretion is not a third way between rules-based monetary policy and discretionary monetary policy. It is just discretionary monetary policy under a more rhetorically palatable label.
## Misplaced records of crystals
'''
No. 1
VASP calculation (PBE-GGA) on an optimized crystal structure of Pm15Dy4Tl.

Cell: 5.077 5.077 25.668 Å, 90.00 90.00 90.00°
Fractional positions:
Pm (0.500, 0.500, 0.000)
Pm (0.500, 0.500, 0.197)
Pm (0.500, 0.500, 0.399)
Pm (0.500, 0.500, 0.601)
Pm (0.500, 0.500, 0.803)
Pm (0.500, 0.000, 0.097)
Pm (0.500, 0.000, 0.299)
Pm (0.500, 0.000, 0.500)
Pm (0.500, 0.000, 0.701)
Pm (0.500, 0.000, 0.903)
Pm (0.000, 0.500, 0.097)
Pm (0.000, 0.500, 0.299)
Pm (0.000, 0.500, 0.500)
Pm (0.000, 0.500, 0.701)
Pm (0.000, 0.500, 0.903)
Dy (0.000, 0.000, 0.198)
Dy (0.000, 0.000, 0.400)
Dy (0.000, 0.000, 0.600)
Dy (0.000, 0.000, 0.802)
Tl (0.000, 0.000, 0.000)

Calculated values
Total magnetic moment in μB per formula unit: 0.00
Crystal system: tetragonal
Energy of formation from the pure elements in meV/atom: -23
Raw total energy in eV/atom: -4.625

No. 2
VASP calculation (PBE-GGA) on an optimized crystal structure of AcNd3Ho6.

Cell: 9.014 9.191 9.191 Å, 116.71 90.00 90.00°
Fractional positions:
Ac (0.079, 0.277, 0.723)
Ac (0.579, 0.723, 0.277)
Nd (0.491, 0.817, 0.699)
Nd (0.991, 0.699, 0.817)
Nd (0.315, 0.452, 0.548)
Nd (0.815, 0.548, 0.452)
Nd (0.991, 0.183, 0.301)
Nd (0.491, 0.301, 0.183)
Ho (0.164, 0.819, 0.530)
Ho (0.664, 0.530, 0.819)
Ho (0.322, 0.678, 0.971)
Ho (0.822, 0.971, 0.678)
Ho (0.181, 0.051, 0.949)
Ho (0.454, 0.215, 0.785)
Ho (0.954, 0.785, 0.215)
Ho (0.681, 0.949, 0.051)
Ho (0.322, 0.029, 0.322)
Ho (0.822, 0.322, 0.029)
Ho (0.164, 0.470, 0.181)
Ho (0.664, 0.181, 0.470)

Calculated values
Total magnetic moment in μB per formula unit: 0.00
Crystal system: orthorhombic
Energy relative to the lowest polymorph listed for this composition in eV per atom: 0.000
Energy of formation from the pure elements in meV/atom: 135
Raw total energy in eV/atom: -4.453

No. 3
VASP calculation (PBE-GGA) on an optimized crystal structure of TaAl3Fe.

Cell: 4.384 4.384 4.384 Å, 90.00 90.00 90.00°
Fractional positions:
Al (0.000, 0.500, 0.000)
Al (0.000, 0.000, 0.500)
Al (0.500, 0.000, 0.000)
Fe (0.000, 0.000, 0.000)
Ta (0.500, 0.500, 0.500)

Calculated values
Total magnetic moment in μB per formula unit: 1.91
Crystal system: cubic
Energy relative to the lowest polymorph listed for this composition in eV per atom: 0.000
Energy of formation from the pure elements in meV/atom: 481
Raw total energy in eV/atom: -5.828

No. 4
VASP calculation (PBE-GGA) on an optimized crystal structure of Ag2Te2Pb.

Cell: 8.764 8.764 3.482 Å, 90.00 90.00 90.00°
Fractional positions:
Pb (0.000, 0.000, 0.000)
Pb (0.500, 0.500, 0.000)
Te (0.325, 0.825, 0.000)
Te (0.825, 0.675, 0.000)
Te (0.675, 0.175, 0.000)
Te (0.175, 0.325, 0.000)
Ag (0.122, 0.622, 0.500)
Ag (0.622, 0.878, 0.500)
Ag (0.878, 0.378, 0.500)
Ag (0.378, 0.122, 0.500)

Calculated values
Total magnetic moment in μB per formula unit: 0.00
Crystal system: tetragonal
Energy relative to the lowest polymorph listed for this composition in eV per atom: 0.172
Formation energy (no corrections) in meV/atom: 25
'''
The problem with constrained discretion is that it leaves up to central bankers the decision when to switch from rule-like behavior to discretionary behavior. Nothing binds the hands of monetary policy makers except their own judgment. There is a qualitative difference between being subject to a rule and acting as if one is subject to a rule. The difference may not mean much when the economy is humming along nicely at full employment. But what happens when turmoil arises in financial markets?
The possibility of a financial panic, advocates of constrained discretion would argue, is precisely why the discretionary part of constrained discretion is desirable. By permitting central bankers to intervene sharply to stabilize the financial system, even if it means temporarily ignoring short-run price stability, we can avoid a true financial panic. But this completely overlooks the well-known fact that market actors take the probable stance of monetary policy makers into account when making financial decisions. If private sector financiers know the central bank can and will deviate from rules-like behavior if there is an impending financial panic, then they don’t have much of an incentive to refrain from engaging in excessively risky financial activity. Financiers can bet big on exotic trades and assets. If the coin lands heads, they make extraordinary profits. If the coin lands tails, the central bank will step in to bail them out, which means deviating from rule-like behavior.
In other words, constrained discretion cannot cope with what is perhaps the single biggest problem with our current financial system: moral hazard. The discretionary part of constrained discretion is precisely what incentivizes market actors to behave badly in the first place. Commitment to rules-like behavior is a façade under constrained discretion. If it breaks down when the going gets rough, then it was never robust in the first place.
Records of crystals, kept here for reference =
____________
# 1
VH2Au PBE optimized geometry; excess energy over the best structure of this formula in the dataset = 523 meV/atom; SG = Fm-3m
1.0
0.849 1.111 3.603
-2.675 -0.248 2.779
0.362 -2.639 2.801
H V Au
2 1 1
Cartesian
-0.366 -0.444 2.296
-1.098 -1.331 6.888
0.000 0.000 0.000
-0.732 -0.888 4.592

# 2
V2ZnHAu PBE optimized geometry; excess energy over the best structure of this formula in the dataset = 0 meV/atom; SG = P4/mmm
1.0
3.735 0.000 0.000
0.000 3.735 0.000
0.000 0.000 4.337
Zn V Au H
1 2 1 1
Cartesian
0.000 0.000 2.168
1.868 0.000 0.000
0.000 1.868 0.000
1.868 1.868 2.168
0.000 0.000 0.000

# 3
ZrV2HAu PBE optimized geometry; SG = P4/mmm
1.0
-2.944 2.680 -0.461
-1.472 -2.141 -3.051
-2.454 -2.223 2.744
Zr V H Au
1 2 1 1
Cartesian
-1.227 -1.112 1.372
-0.736 -1.071 -1.526
-1.472 1.340 -0.231
0.000 0.000 0.000
-3.435 -0.842 -0.384

# 4
HWAu3 PBE optimized geometry; excess energy over the best structure of this formula in the dataset = 0 meV/atom; SG = Pm-3m
1.0
-0.868 4.022 -0.815
-0.425 -0.917 -4.071
-4.082 -0.760 0.597
Au H W
3 1 1
Cartesian
-2.041 -0.380 0.299
-0.212 -0.458 -2.036
-0.434 2.011 -0.408
0.000 0.000 0.000
-2.687 1.172 -2.145

# 5
H2WAu2 PBE optimized geometry; excess energy over the best structure of this formula in the dataset = 0 meV/atom; SG = I4/mmm
1.0
-2.634 1.127 0.486
-0.222 -1.569 2.436
1.486 5.022 5.102
H Au W
2 2 1
Cartesian
-1.288 2.964 3.525
-0.082 1.616 4.500
-0.781 3.291 5.515
-0.589 1.288 2.509
0.000 0.000 0.000

# 6
HWAu3 PBE optimized geometry; excess energy over the best structure of this formula in the dataset = 774 meV/atom; SG = Pm-3m
1.0
-2.512 -3.866 2.186
0.772 -2.853 -4.159
4.374 -1.717 1.989
W Au H
1 3 1
Cartesian
0.000 0.000 0.000
2.187 -0.858 0.995
0.386 -1.426 -2.080
-1.256 -1.933 1.093
1.317 -4.218 0.008

# 7
H2WAu2 PBE optimized geometry; excess energy over the best structure of this formula in the dataset = 147 meV/atom; SG = P4/mbm
1.0
7.688 0.000 0.000
0.000 7.688 0.000
0.000 0.000 2.589
Au W H
4 2 4
Cartesian
1.914 5.759 0.000
5.759 5.774 0.000
5.774 1.930 0.000
1.930 1.914 0.000
3.844 3.844 0.000
0.000 0.000 0.000
7.420 3.576 1.294
0.268 4.112 1.294
3.576 0.268 1.294
4.112 7.420 1.294

# 8
HWAu2 PBE optimized geometry; excess energy over the best structure of this formula in the dataset = 325 meV/atom; SG = Fm-3m
1.0
0.000 3.139 3.139
3.139 0.000 3.139
3.139 3.139 0.000
Au H W
2 1 1
Cartesian
1.570 1.570 1.570
4.709 4.709 4.709
0.000 0.000 0.000
3.139 3.139 3.139

# 9
H2WAu PBE optimized geometry; excess energy over the best structure of this formula in the dataset = 0 meV/atom; SG = I-42d
1.0
4.515 0.000 0.000
0.000 4.515 0.000
2.258 2.258 4.115
Au H W
2 4 2
Cartesian
0.000 0.000 0.000
4.515 2.258 2.058
1.304 3.387 1.029
3.211 1.129 1.029
5.644 5.469 3.086
3.387 3.562 3.086
2.258 2.258 0.000
2.258 4.515 2.058

# 10
HWAu2 PBE optimized geometry; excess energy over the best structure of this formula in the dataset = 0 meV/atom; SG = I-42d
1.0
6.001 0.000 0.000
0.000 6.001 0.000
3.001 3.001 3.216
____________
The piece goes on =
There is no middle ground, no third way, between rules and discretion. Either we have the rule of law or we have the rule of central bankers. And history shows central bankers are poor stewards of the macroeconomy. We should reject constrained discretion for what it is: discretionary monetary technocracy in disguise. A free society that is also an economically prosperous society should insist on real monetary rules.